Design change: The berries now explode and leave juice similar to Cherry Bomb.
Berry Blast is a cheap and safe way to inflict 3 damage on a zombie fighter or your opponent. It is best used to remove or heavily damage a zombie fighter, or flat out finish your opponent off with this trick if they have 3 or less.
Berry Blast also synergizes well with the berry synergy cards: Sergeant Strongberry makes the zombie or the opposing hero take 5 damage instead of 3 (if it does not have the Armored trait or if the Super-Block Meter doesn't fill up), High-Voltage Currant gets +1 strength, while Strawberrian does damage to zombies on the lanes adjacent to him.
It is not recommended to use this trick on zombies with the Armored trait, and definitely not on the ones that are shielded, as the damage done by it will be reduced or nullified. Also, do not use it on zombies such as Newspaper Zombie, who gets +4 strength when hurt, or Jester, who does 2 damage to you when hurt, as doing so will activate their abilities. Removal cards are better in those cases, though only Solar Flare has reliable access to both them and Berry Blast.
-- Unrelated to this text: calculated crystals --
-- begin --
# 1
Y3Ga8Ag3: computed powder diffractogram (Cu Kα, 1.54184 Å), based on a PBE-relaxed structure.
Intensities are scaled so that the largest is 100.

Principal peaks in the range 15° ≤ 2θ ≤ 90°, sorted by position:
d (Å)	2theta	I/Imax
2.585	34.7	100
2.509	35.8	17
2.397	37.5	33
2.174	41.5	36
2.163	41.8	22
2.020	44.9	22

Atomic structure:
a = 8.363 Å, b = 8.363 Å, c = 8.363 Å
α = 149.86°, β = 109.83°, γ = 78.23°
Positions (direct):
Y 0.000 0.000 0.000
Y 0.300 0.300 0.000
Y 0.700 0.700 0.000
Ga 0.028 0.659 0.369
Ga 0.138 0.858 0.280
Ga 0.290 0.659 0.631
Ga 0.423 0.142 0.280
Ga 0.577 0.858 0.720
Ga 0.710 0.341 0.369
Ga 0.862 0.142 0.720
Ga 0.972 0.341 0.631
Ag 0.309 0.500 0.809
Ag 0.500 0.000 0.500
Ag 0.691 0.500 0.191

---

# 2
GdAg: computed powder diffractogram (Cu Kα, 1.54184 Å), based on a PBE-relaxed structure.
Intensities are scaled so that the largest is 100.

Principal peaks in the range 15° ≤ 2θ ≤ 90°, sorted by position:
d (Å)	2theta	I/Imax
3.687	24.1	3
2.607	34.4	100
1.843	49.4	18
1.505	61.6	36
1.303	72.5	11
1.166	82.8	16

Atomic structure:
a = 3.687 Å, b = 3.687 Å, c = 3.687 Å
α = 90.00°, β = 90.00°, γ = 90.00°
Positions (direct):
Gd 0.000 0.000 0.000
Ag 0.500 0.500 0.500

---

# 3
GdAg3: computed powder diffractogram (Cu Kα, 1.54184 Å), based on a PBE-relaxed structure.
Intensities are scaled so that the largest is 100.

Principal peaks in the range 15° ≤ 2θ ≤ 90°, sorted by position:
d (Å)	2theta	I/Imax
2.754	32.5	24
2.473	36.3	25
2.406	37.4	100
1.590	58.0	17
1.415	66.0	18
1.337	70.4	19

Atomic structure:
a = 6.360 Å, b = 6.360 Å, c = 4.946 Å
α = 90.00°, β = 90.00°, γ = 120.00°
Positions (direct):
Gd 0.333 0.667 0.250
Gd 0.667 0.333 0.750
Ag 0.156 0.311 0.750
Ag 0.156 0.844 0.750
Ag 0.311 0.156 0.250
Ag 0.689 0.844 0.750
Ag 0.844 0.156 0.250
Ag 0.844 0.689 0.250

---

# 4
Gd3Ag: computed powder diffractogram (Cu Kα, 1.54184 Å), based on a PBE-relaxed structure.
Intensities are scaled so that the largest is 100.

Principal peaks in the range 15° ≤ 2θ ≤ 90°, sorted by position:
d (Å)	2theta	I/Imax
2.999	29.8	24
2.725	32.9	25
2.627	34.1	100
1.731	52.9	19
1.554	59.5	20
1.461	63.7	21

Atomic structure:
a = 6.925 Å, b = 6.925 Å, c = 5.451 Å
α = 90.00°, β = 90.00°, γ = 120.00°
Positions (direct):
Gd 0.173 0.345 0.250
Gd 0.173 0.827 0.250
Gd 0.345 0.173 0.750
Gd 0.655 0.827 0.250
Gd 0.827 0.173 0.750
Gd 0.827 0.655 0.750
Ag 0.333 0.667 0.750
Ag 0.667 0.333 0.250

---

# 5
GdAgGe: computed powder diffractogram (Cu Kα, 1.54184 Å), based on a PBE-relaxed structure.
Intensities are scaled so that the largest is 100.

Principal peaks in the range 15° ≤ 2θ ≤ 90°, sorted by position:
d (Å)	2theta	I/Imax
2.762	32.4	100
2.528	35.5	87
2.371	37.9	49
2.135	42.3	29
1.586	58.1	27
1.364	68.8	23

Atomic structure:
a = 7.243 Å, b = 7.243 Å, c = 4.269 Å
α = 90.00°, β = 90.00°, γ = 120.00°
Positions (direct):
Gd 0.000 0.585 0.000
Gd 0.415 0.415 0.000
Gd 0.585 0.000 0.000
Ag 0.000 0.250 0.500
Ag 0.250 0.000 0.500
Ag 0.750 0.750 0.500
Ge 0.000 0.000 0.000
-- stop --
-- The calculated crystals stop here --
Your opponent might use this on any of your zombies that have 3 health or less, and therefore can destroy some of your tough early-game fighters, such as Conehead, Surfer Zombie, and Toxic Waste Imp, or Quickdraw Con Man. As such, it is recommended to play tricks that can boost your zombies' health to above 3 so that this trick will not destroy them.
Using Armored zombies or cards that can shield them can reduce the effectiveness of this trick as well, as well as zombies that activate their abilities upon taking damage like Newspaper Zombie and Jester.
You may also want to keep your health above 3, or else your opponent may play this to instantly defeat you. You can use healing cards, or you can also play Planetary Gladiator, which can protect you from Berry Blast twice until he is destroyed.
You can also play Defensive End to increase its cost and limit your opponent's options - this is especially effective because the only Kabloom hero with specialized removal cards is Solar Flare, with others failing to destroy Defensive End at all. However, do note that Defensive End cannot affect early-game Berry Blasts due to his cost.
Berry Blast's statistics
Berry Blast's card
Berry Blast's grayed out card
Berry Blast's card image
Berry Blast's textures
HD Berry Blast
Berry Blast about to be played
Berry Blast being played (1)
Berry Blast being played (2)
4 Berry Blasts in the player's starting hand
Berry Blast's statistics
Berry Blast's card
Berry Blast's silhouette
The player receiving Berry Blast from a Basic Pack
The player having the choice between Berry Blast and Smelly Zombie as the prize after completing a level
Berry Blast being played
Someone pasted calculated crystals at this point =
____________
Structure and simulated powder diffraction line list of La2NiHPt (a structure optimized by DFT (GGA-PBE); Cu Ka).
Intensities are scaled so that the largest is 100.

Atomic structure:
```
La2NiHPt
1.0
5.1655 0.0000 0.0000
0.0000 5.1655 0.0000
0.0000 0.0000 3.6094
La Ni H Pt
2 1 1 1
Direct
0.0000 0.5000 0.0000 La
0.5000 0.0000 0.0000 La
0.0000 0.0000 0.5000 Ni
0.0000 0.0000 0.0000 H
0.5000 0.5000 0.5000 Pt
```

Principal peaks in the range 2θ = 10–90°, sorted by position:
2θ/deg  d_spacing  I (rel.)
17.17  5.165  15.1
30.21  2.959  8.4
34.73  2.583  51.4
34.95  2.567  100.0
49.94  1.826  18.3
50.58  1.805  8.8
62.40  1.488  37.0
62.82  1.479  18.2
73.82  1.284  11.3
83.74  1.155  8.2
83.86  1.154  8.1
84.85  1.143  7.9
____________
The player drawing three Berry Blasts at the start of a game, along with a Mushroom Ringleader
In other languages[]
Please note that only official translations are used.